Job:
Your job: type out all of the contents further below verbatim.

Source:
+++
Entry 1:
Computed, not measured: a structure of composition C45H47N3OP2Re at a distorted geometry, with wB97M-V/def2-TZVPD.

Geometry as XYZ:
```
99
Properties=species:S:1:pos:R:3:mulliken_spin:R:1
Re 0.395 0.865 -0.187 2.251
C 2.977 2.159 -0.832 0.033
C 2.527 3.017 0.334 0.033
N 1.431 2.323 1.093 -0.001
C 0.417 3.250 1.675 0.052
C -0.531 3.756 0.583 0.004
N -0.471 2.869 -0.632 0.025
C 0.260 3.505 -1.795 0.013
C 1.099 2.485 -2.533 0.043
N 1.781 1.563 -1.546 0.072
H 3.573 1.320 -0.471 -0.009
H 3.575 2.718 -1.553 0.001
H 2.167 3.994 0.024 -0.003
H 3.371 3.188 1.002 -0.002
H 1.887 1.846 1.871 -0.011
H 0.916 4.075 2.186 -0.001
H -0.124 2.682 2.435 -0.007
H -0.308 4.779 0.284 -0.001
H -1.555 3.752 0.953 -0.003
H -1.428 2.747 -0.960 0.001
H 0.855 4.329 -1.415 -0.002
H -0.471 3.931 -2.483 -0.001
H 1.857 2.954 -3.163 0.003
H 0.474 1.857 -3.165 -0.006
H 2.123 0.760 -2.081 -0.004
C -3.676 -2.157 3.669 0.001
C -2.975 -0.839 3.278 -0.004
C -3.420 0.304 4.201 0.001
C -1.475 -1.058 3.373 -0.002
C -0.922 -1.613 4.534 -0.004
C 0.418 -1.935 4.660 0.005
C 1.277 -1.711 3.597 -0.006
C 0.767 -1.134 2.433 -0.058
P 1.807 -0.808 1.042 0.184
C 3.386 -0.236 1.710 0.013
C 3.393 0.602 2.842 0.004
C 4.587 1.027 3.396 0.002
C 5.796 0.606 2.844 -0.003
C 5.801 -0.255 1.758 0.001
C 4.603 -0.680 1.192 0.002
C 2.058 -2.190 -0.060 -0.037
C 1.524 -3.435 0.281 0.032
C 1.811 -4.540 -0.510 -0.001
C 2.623 -4.405 -1.626 0.016
C 3.143 -3.162 -1.979 -0.006
C 2.855 -2.055 -1.203 0.017
C -0.580 -0.788 2.361 0.036
O -0.990 -0.114 1.147 0.159
C -2.397 -0.281 0.844 0.039
C -2.741 -0.168 -0.500 -0.067
C -4.081 -0.224 -0.884 -0.005
C -5.045 -0.398 0.094 0.004
C -4.659 -0.553 1.414 -0.003
C -3.322 -0.535 1.832 0.001
P -1.445 0.031 -1.688 0.150
C -2.069 1.168 -2.946 0.015
C -1.824 0.951 -4.302 0.006
C -2.348 1.821 -5.254 0.001
C -3.126 2.900 -4.864 -0.003
C -3.411 3.104 -3.514 0.001
C -2.896 2.240 -2.564 0.005
C -0.906 -1.499 -2.435 -0.049
C 0.165 -1.527 -3.335 0.037
C 0.475 -2.698 -4.000 -0.003
C -0.273 -3.848 -3.762 0.014
C -1.319 -3.834 -2.852 0.001
C -1.642 -2.661 -2.184 0.019
H -3.452 -2.428 4.698 0.000
H -3.370 -2.980 3.022 0.000
H -4.758 -2.057 3.607 0.000
H -3.183 0.073 5.240 0.000
H -4.499 0.447 4.141 0.000
H -2.935 1.247 3.942 0.000
H -1.579 -1.813 5.370 0.000
H 0.787 -2.370 5.579 0.000
H 2.325 -1.973 3.668 -0.001
H 2.472 0.837 3.373 0.000
H 4.583 1.651 4.280 0.000
H 6.732 0.924 3.286 0.000
H 6.738 -0.617 1.357 0.000
H 4.636 -1.374 0.363 0.000
H 0.915 -3.551 1.169 0.002
H 1.418 -5.511 -0.238 0.000
H 2.864 -5.275 -2.223 0.000
H 3.785 -3.069 -2.844 0.000
H 3.317 -1.103 -1.458 0.005
H -4.359 -0.130 -1.926 -0.001
H -6.093 -0.431 -0.171 0.000
H -5.427 -0.714 2.159 0.000
H -1.244 0.101 -4.635 0.000
H -2.163 1.637 -6.304 0.000
H -3.541 3.566 -5.609 0.000
H -4.066 3.911 -3.214 0.000
H -3.242 2.345 -1.536 0.000
H 0.731 -0.628 -3.567 0.002
H 1.284 -2.718 -4.719 0.000
H -0.042 -4.759 -4.300 0.000
H -1.901 -4.729 -2.676 0.001
H -2.479 -2.646 -1.497 0.000
```

The HOMO energy (alpha / beta) is -19.07 / -18.97 eV. Its energy is -2742.10992 Eh. The value obtained for the energy above the lowest of the compared OMol25 structures with the same formula, charge and spin is 0.0 kJ/mol. The spin multiplicity is 4. The largest force on an atom is 1.11 eV/Å. As for the total charge: +4.

=====

Entry 2:
Computed, not measured: the molecule C5H9O3 at a distorted geometry, with wB97M-V/def2-TZVPD.

Geometry as XYZ:
```
17
Properties=species:S:1:pos:R:3:mulliken_spin:R:1
O -1.680 -1.819 1.053 0.017
C -2.468 -0.902 0.877 -0.016
C -2.097 0.349 0.123 0.016
O -0.741 0.396 -0.220 0.069
C 0.134 0.071 0.772 0.824
C 1.354 -0.662 0.345 -0.004
O 2.428 0.161 -0.095 0.030
C 2.209 0.788 -1.336 0.006
H -3.534 -0.984 1.174 0.001
H -2.689 0.375 -0.805 -0.001
H -2.390 1.225 0.732 0.001
H 0.148 0.732 1.645 0.020
H 1.749 -1.226 1.200 0.033
H 1.084 -1.380 -0.451 0.006
H 3.148 1.273 -1.630 0.001
H 1.928 0.051 -2.110 0.001
H 1.418 1.553 -1.276 -0.005
```
+++

Response:
Entry 1:
Computed, not measured: a structure of composition C45H47N3OP2Re at a distorted geometry, with wB97M-V/def2-TZVPD.

Geometry as XYZ:
```
99
Properties=species:S:1:pos:R:3:mulliken_spin:R:1
Re 0.395 0.865 -0.187 2.251
C 2.977 2.159 -0.832 0.033
C 2.527 3.017 0.334 0.033
N 1.431 2.323 1.093 -0.001
C 0.417 3.250 1.675 0.052
C -0.531 3.756 0.583 0.004
N -0.471 2.869 -0.632 0.025
C 0.260 3.505 -1.795 0.013
C 1.099 2.485 -2.533 0.043
N 1.781 1.563 -1.546 0.072
H 3.573 1.320 -0.471 -0.009
H 3.575 2.718 -1.553 0.001
H 2.167 3.994 0.024 -0.003
H 3.371 3.188 1.002 -0.002
H 1.887 1.846 1.871 -0.011
H 0.916 4.075 2.186 -0.001
H -0.124 2.682 2.435 -0.007
H -0.308 4.779 0.284 -0.001
H -1.555 3.752 0.953 -0.003
H -1.428 2.747 -0.960 0.001
H 0.855 4.329 -1.415 -0.002
H -0.471 3.931 -2.483 -0.001
H 1.857 2.954 -3.163 0.003
H 0.474 1.857 -3.165 -0.006
H 2.123 0.760 -2.081 -0.004
C -3.676 -2.157 3.669 0.001
C -2.975 -0.839 3.278 -0.004
C -3.420 0.304 4.201 0.001
C -1.475 -1.058 3.373 -0.002
C -0.922 -1.613 4.534 -0.004
C 0.418 -1.935 4.660 0.005
C 1.277 -1.711 3.597 -0.006
C 0.767 -1.134 2.433 -0.058
P 1.807 -0.808 1.042 0.184
C 3.386 -0.236 1.710 0.013
C 3.393 0.602 2.842 0.004
C 4.587 1.027 3.396 0.002
C 5.796 0.606 2.844 -0.003
C 5.801 -0.255 1.758 0.001
C 4.603 -0.680 1.192 0.002
C 2.058 -2.190 -0.060 -0.037
C 1.524 -3.435 0.281 0.032
C 1.811 -4.540 -0.510 -0.001
C 2.623 -4.405 -1.626 0.016
C 3.143 -3.162 -1.979 -0.006
C 2.855 -2.055 -1.203 0.017
C -0.580 -0.788 2.361 0.036
O -0.990 -0.114 1.147 0.159
C -2.397 -0.281 0.844 0.039
C -2.741 -0.168 -0.500 -0.067
C -4.081 -0.224 -0.884 -0.005
C -5.045 -0.398 0.094 0.004
C -4.659 -0.553 1.414 -0.003
C -3.322 -0.535 1.832 0.001
P -1.445 0.031 -1.688 0.150
C -2.069 1.168 -2.946 0.015
C -1.824 0.951 -4.302 0.006
C -2.348 1.821 -5.254 0.001
C -3.126 2.900 -4.864 -0.003
C -3.411 3.104 -3.514 0.001
C -2.896 2.240 -2.564 0.005
C -0.906 -1.499 -2.435 -0.049
C 0.165 -1.527 -3.335 0.037
C 0.475 -2.698 -4.000 -0.003
C -0.273 -3.848 -3.762 0.014
C -1.319 -3.834 -2.852 0.001
C -1.642 -2.661 -2.184 0.019
H -3.452 -2.428 4.698 0.000
H -3.370 -2.980 3.022 0.000
H -4.758 -2.057 3.607 0.000
H -3.183 0.073 5.240 0.000
H -4.499 0.447 4.141 0.000
H -2.935 1.247 3.942 0.000
H -1.579 -1.813 5.370 0.000
H 0.787 -2.370 5.579 0.000
H 2.325 -1.973 3.668 -0.001
H 2.472 0.837 3.373 0.000
H 4.583 1.651 4.280 0.000
H 6.732 0.924 3.286 0.000
H 6.738 -0.617 1.357 0.000
H 4.636 -1.374 0.363 0.000
H 0.915 -3.551 1.169 0.002
H 1.418 -5.511 -0.238 0.000
H 2.864 -5.275 -2.223 0.000
H 3.785 -3.069 -2.844 0.000
H 3.317 -1.103 -1.458 0.005
H -4.359 -0.130 -1.926 -0.001
H -6.093 -0.431 -0.171 0.000
H -5.427 -0.714 2.159 0.000
H -1.244 0.101 -4.635 0.000
H -2.163 1.637 -6.304 0.000
H -3.541 3.566 -5.609 0.000
H -4.066 3.911 -3.214 0.000
H -3.242 2.345 -1.536 0.000
H 0.731 -0.628 -3.567 0.002
H 1.284 -2.718 -4.719 0.000
H -0.042 -4.759 -4.300 0.000
H -1.901 -4.729 -2.676 0.001
H -2.479 -2.646 -1.497 0.000
```

The HOMO energy (alpha / beta) is -19.07 / -18.97 eV. Its energy is -2742.10992 Eh. The value obtained for the energy above the lowest of the compared OMol25 structures with the same formula, charge and spin is 0.0 kJ/mol. The spin multiplicity is 4. The largest force on an atom is 1.11 eV/Å. As for the total charge: +4.

=====

Entry 2:
Computed, not measured: the molecule C5H9O3 at a distorted geometry, with wB97M-V/def2-TZVPD.

Geometry as XYZ:
```
17
Properties=species:S:1:pos:R:3:mulliken_spin:R:1
O -1.680 -1.819 1.053 0.017
C -2.468 -0.902 0.877 -0.016
C -2.097 0.349 0.123 0.016
O -0.741 0.396 -0.220 0.069
C 0.134 0.071 0.772 0.824
C 1.354 -0.662 0.345 -0.004
O 2.428 0.161 -0.095 0.030
C 2.209 0.788 -1.336 0.006
H -3.534 -0.984 1.174 0.001
H -2.689 0.375 -0.805 -0.001
H -2.390 1.225 0.732 0.001
H 0.148 0.732 1.645 0.020
H 1.749 -1.226 1.200 0.033
H 1.084 -1.380 -0.451 0.006
H 3.148 1.273 -1.630 0.001
H 1.928 0.051 -2.110 0.001
H 1.418 1.553 -1.276 -0.005
```